In a special meeting of the Lincoln County School District No. 2 Board of Trustees designed to address changes to bus routes, the board voted unanimously to pass two proposal on first reading. A second-reading will take place for the same two proposals at the next regularly scheduled LCSD No. 2 Board meeting on November 8, 2023.
Both motions on Cokeville and Star Valley proposals were unanimously approved by the board on Tuesday, October 24.
Proposed adjustments for Phase 3 of bus routes were presented by Transportation Director, Ryan Lyman. These adjustments would be put in place for the remainder of the 2023-24 school year. Many of these proposals are contingent on a Memorandum of Understanding or MOU between the district and private road owners as those owners would need to approve the use of their road as a turnaround. The proposals included:
1. Backing buses on routes, stuck buses on routes, private property use by buses, need for buses to have snow chains, routes with steep road grades, school bus seat belts.
2. Modified Phase 3 in Cokeville: Bus types and ride times will be determined by the number of students riding. We will work closely with drivers, parents, and students to promote the wearing of seat belts if the bus is equipped with them. The stops in the westside subdivision and within the Cokeville town limits west of the railroad tracks will remain at neighborhood street corners.
a. Two-route scenario – Until a special needs route is available, the district will utilize the 2 routes to develop the best sequence of stops. There may be delays for the secondary PM run as the elementary run is completed. On CR 207 (Cokeville-Utah Line road) the bus will turn around at the turnout as proposed by the Cokeville spokesperson at the September 24, 2023 work session. Students on CR 207 will meet the bus at the county road. The district will provide for two runs per day on CR207. Ten or less stops will be available on US 30/89 to include any private property owners willing to enter an MOU agreement. Students who live on John’s Lane and Pine Creek county roads will have stops at the county road.
b. Three route scenario – A special needs route may be available for courtesy riders on WY232 and Pine Creek as allowable per district procedure.
3. Modified Phase 3 for Star Valley
a. Chokecherry – Bus stops will continue as is.
b. Cottonwood – Route will start in the AM and end in the PM with Cottonwood. Two or less stops will be available. We support the neighborhood’s proposal of a larger turnaround and parking areas or an alternate location with an MOU. We also support their proposal of increased enforcement of parking regulations. We’ll work closely with the residents to increase awareness of challenges affecting a safe turnaround.
c. Forest Dell – We’ll continue to utilize the new bus stop location.
d. Heiner-Suter – A bus stop will be available at Floyd Drive once an MOU is approved by the school board.
e. Spring Creek – A bus stop and turnaround may be available prior to the hill and curve and on the east side of the county road once an MOU has been approved by the school board. The specific location to be determined by the neighborhood.
These calculated crystals were left in the piece by mistake:
........
1.
Below is Ba2CaBe after structural relaxation, with properties calculated at the PBE level.

Values from the calculation:
The volume comes out at 40.2 A^3/atom. As for the magnetic moment: 0.001 μB per formula unit. The raw total energy is -2.095 eV/atom. As for the crystal system: tetragonal.

Cell lengths 3.9336, 3.9336, 10.3956 Å; angles 90.00, 90.00, 90.00 degrees
Positions (direct):
Ca1 0.5000 0.5000 0.6674
Ba1 0.5000 0.5000 0.3313
Ba2 0.0000 0.0000 0.9722
Be1 0.0000 0.0000 0.5290


2.
Below is Ba2GaGe3 after structural relaxation, with properties calculated at the PBE level.

Values from the calculation:
The volume comes out at 28.7 A^3/atom. As for the magnetic moment: 0.000 μB per formula unit. The raw total energy is -3.950 eV/atom. The calculation puts the energy above the most stable polymorph in this dataset at 0 meV per atom. As for the crystal system: orthorhombic.

Cell lengths 6.7157, 6.7157, 9.1408 Å; angles 113.77, 113.77, 84.42 degrees
Positions (direct):
Ba1 0.2500 0.7500 0.5000
Ba2 0.7500 0.2500 0.5000
Ba3 0.2418 0.2418 0.0000
Ba4 0.7582 0.7582 0.0000
Ge1 0.1680 0.1680 0.3360
Ge2 0.6603 0.1717 0.8320
Ge3 0.1717 0.6603 0.8320
Ge4 0.8320 0.8320 0.6640
Ge5 0.3397 0.8283 0.1680
Ge6 0.8283 0.3397 0.1680
Ga1 0.3346 0.3346 0.6692
Ga2 0.6654 0.6654 0.3308


3.
Below is Pr2Dy3ThS6 after structural relaxation, with properties calculated at the PBE level.

Values from the calculation:
The volume comes out at 22.5 A^3/atom. Its uncorrected formation energy is -1.971 eV/atom. As for the magnetic moment: 0.000 μB per formula unit. The raw total energy is -6.600 eV/atom. As for the crystal system: monoclinic.

Cell lengths 3.9646, 8.0564, 8.9871 Å; angles 104.56, 102.74, 90.00 degrees
Positions (direct):
Dy1 0.8329 0.1653 0.6659
Dy2 0.1671 0.8347 0.3341
Dy3 0.5000 0.5000 0.0000
Pr1 0.8351 0.6698 0.6703
Pr2 0.1649 0.3302 0.3297
S1 0.0051 0.7425 0.0103
S2 0.6635 0.5940 0.3270
S3 0.3365 0.4060 0.6730
S4 0.9949 0.2575 0.9897
S5 0.3299 0.9280 0.6599
S6 0.6701 0.0720 0.3401
Th1 0.5000 0.0000 0.0000


4.
Below is FeHgRh2 after structural relaxation, with properties calculated at the PBE level.

Values from the calculation:
The volume comes out at 15.5 A^3/atom. As for the magnetic moment: 3.960 μB per formula unit. The raw total energy is -5.657 eV/atom. As for the crystal system: monoclinic.

Cell lengths 4.8349, 4.8349, 4.7780 Å; angles 78.68, 78.68, 34.67 degrees
Each line ends with the local moment (μB).
Positions (direct):
Rh1 0.7527 0.7527 0.7385  0.42
Rh2 0.0070 0.0070 0.9828  0.50
Fe1 0.4915 0.4915 0.5325  3.05
Hg1 0.2488 0.2488 0.2462  -0.01


5.
Below is Nd14SmMg after structural relaxation, with properties calculated at the PBE level.

Values from the calculation:
The volume comes out at 34.3 A^3/atom. As for the magnetic moment: 0.000 μB per formula unit. The raw total energy is -4.560 eV/atom. As for the crystal system: tetragonal.

Cell lengths 7.2854, 7.2854, 10.3506 Å; angles 90.00, 90.00, 89.99 degrees
Positions (direct):
........
Back to the piece:
One of the primary differences in the proposals is the change of utilizing private property to turn around and make student exchanges. This would get students off of U.S. 30 and U.S. 89 particularly in the Cokeville area.
Once MOU’s are filled out and returned by December 1, , the school board will consider taking action for December’s board meeting on December 6. If approved, route changes would go into effect on Monday, December 11.
Two public comments were scheduled with both expressing appreciation to the school board and the transportation department for their efforts in considering the safety of Cokeville student in particular.